Entries.
********
Theoretical X-ray diffraction stick pattern
Compound: Mg3Al18V2
Radiation: Cu Kα, 1.54184 Å
Structure: a DFT-relaxed cell (PBE, Alexandria)

Cell and atoms:
Cell lengths 14.5893, 14.5893, 14.5893 Å; angles 90.00, 90.00, 90.00 degrees
Space group Fd-3m (No. 227, origin choice 2)
One atom of each set of equivalent atoms:
Mg (0.0000, 0.0000, 0.0000) [16 per cell]
Mg (0.1250, 0.1250, 0.1250) [8 per cell]
Al (0.0157, 0.3750, 0.8750) [48 per cell]
Al (0.0588, 0.0588, 0.3247) [96 per cell]
V (0.0000, 0.0000, 0.5000) [16 per cell]

Largest 10 diffraction maxima, sorted by position, 5 to 70 degrees two-theta:
h k l	2θ/deg	d (Å)	I_rel
1 1 1	10.50	8.423	479
4 4 0	34.79	2.579	186
5 3 1	36.43	2.466	445
6 2 0	39.05	2.307	298
********

Request.
The reader should quote all of the calculation results earlier on unchanged.

Done.
Theoretical X-ray diffraction stick pattern
Compound: Mg3Al18V2
Radiation: Cu Kα, 1.54184 Å
Structure: a DFT-relaxed cell (PBE, Alexandria)

Cell and atoms:
Cell lengths 14.5893, 14.5893, 14.5893 Å; angles 90.00, 90.00, 90.00 degrees
Space group Fd-3m (No. 227, origin choice 2)
One atom of each set of equivalent atoms:
Mg (0.0000, 0.0000, 0.0000) [16 per cell]
Mg (0.1250, 0.1250, 0.1250) [8 per cell]
Al (0.0157, 0.3750, 0.8750) [48 per cell]
Al (0.0588, 0.0588, 0.3247) [96 per cell]
V (0.0000, 0.0000, 0.5000) [16 per cell]

Largest 10 diffraction maxima, sorted by position, 5 to 70 degrees two-theta:
h k l	2θ/deg	d (Å)	I_rel
1 1 1	10.50	8.423	479
4 4 0	34.79	2.579	186
5 3 1	36.43	2.466	445
6 2 0	39.05	2.307	298